Recess has announced plans for an unprecedented $2 million contribution
In a historic move, the New York City-based arts organization Recess has announced plans for an unprecedented $2 million contribution the organization received in May of 2019. After an intensive visioning process led by Recess artists, youth, staff, board and outside practitioners, they have developed a sustainable long-term strategy to distribute the $2 million, and future funds, within their community of artists and system impacted youth. Using the guiding principle, “if I have a dollar, you have a dollar,” Recess plans to distribute $1 million in unrestricted cash to community members by the end of the year. Community members will be invited to opt in to an even cut, to opt out entirely, or to request a specific dollar amount of their choosing based on immediate need, relative proximity to power, whiteness, wealth-building tools and networks.

Recess facade during 2021 Session program “Dana Davenport: Dana’s Beauty Supply,” Photo courtesy of Recess.
Recess also announced that the second $1 million will be placed in a financial trust stewarded by community members, who will receive compensation for this work. These funds are intended to be similarly distributed within Recess’ community in the future. The organization shared that they are working to build pathways and advocate for wealthy individuals interested in just wealth redistribution to replenish these funds whenever they are distributed to and by community members.
Recess received this $2 million contribution form MacKenzie Scott and Dan Jewett and was one of 286 organizations that collectively received $2.74 billion from the couple as part of their recent spate of philanthropic giving. In 2019, following her divorce from Amazon founder and executive chairman Jeff Bezos, Scott pledged to give away her fortune until the “safe is empty.” Forbes recently estimated that the percent of Amazon shares she received as part of their divorce is now worth $60 billion, nearly doubling since their settlement. The size and pacing of Scott’s giving is substantial. She gave away a total of $6 billion in 2020, an incredibly perilous year for nonprofits: More than one-third of nonprofits in the United States are in jeopardy of closing within two years because of financial shortfalls caused by the Covid-19 pandemic. Small arts and culture nonprofits, like Recess, are particularly vulnerable because they typically don’t hold much cash and cannot reduce expenses. An unrestricted gift of $2 million is an organization-saving windfall that could be stored away in investments, generating passive income for future use. However, rather than hoarding this sudden flush of cash for future programming or operating costs, Recess decided to re-envision what philanthropy might look like, using the money to provide immediate financial support for their community.
## Calculated crystals from another source follow
........
The following is a PBE calculation of a geometry-optimized EuSi structure, from the Materials Project.

Computed properties:
- energy of formation from the pure elements (eV per formula unit) = -1.15
- ρ (kg/m3) = 5904

Geometry as POSCAR:
```
EuSi
1.0
2.297 -5.549 0.000
2.297 5.549 0.000
0.000 0.000 3.974
Si Eu
2 2
Direct
0.566 0.434 0.750
0.434 0.566 0.250
0.140 0.860 0.250
0.860 0.140 0.750
```

=====

No. 1
This record from the Materials Project describes crystalline Fe6BiP6O26 at its relaxed geometry. The functional is PBE with a Hubbard U.

* ρ: 3.8 g/cm3
* E (MP2020): -7.76 eV/atom
* DFT total energy: -6.95 eV per atom
* E_form: -2.225 eV per atom
* M_tot: 29.80 Bohr magnetons per cell

a b c (Å): 7.6638 6.4118 10.3496
angles (deg): 90.00 100.04 90.00
Closest atoms and distances in Å follow each position.
Positions (direct):
Fe1 0.0000 0.0000 0.0000  5 O 1.91-2.01
Fe2 0.1362 0.5000 0.6298  5 O 1.91-2.07
Fe3 0.4264 0.0000 0.2288  5 O 1.93-2.13
Fe4 0.5711 0.5000 0.8742  5 O 1.89-2.03
Fe5 0.7881 0.2545 0.4258  5 O 1.94-2.14
Fe6 0.7881 0.7455 0.4258  5 O 1.94-2.14
Bi1 0.4322 0.0000 0.6191  5 O 2.31-2.47
P1 0.9997 0.5000 0.9208  4 O 1.54-1.55
P2 0.0421 0.0000 0.6723  4 O 1.51-1.57
P3 0.0954 0.0000 0.3215  4 O 1.53-1.58
P4 0.4638 0.5000 0.5487  4 O 1.52-1.57
P5 0.5175 0.5000 0.1956  4 O 1.53-1.59
P6 0.5666 0.0000 0.9450  4 O 1.53-1.57
O1 0.0328 0.3044 0.0081  1 P 1.54
O2 0.0328 0.6956 0.0081  1 P 1.54
O3 0.1283 0.5000 0.8213  1 P 1.54
O4 0.1449 0.0000 0.1812  1 P 1.56
O5 0.1651 0.1850 0.6466  1 P 1.57
O6 0.1651 0.8150 0.6466  1 P 1.57
O7 0.2736 0.5000 0.4744  1 P 1.52
O8 0.2897 0.0000 0.4035  1 P 1.58
O9 0.4120 0.3063 0.2216  1 P 1.53
O10 0.4120 0.6937 0.2216  1 P 1.53
O11 0.4285 0.5000 0.6936  1 P 1.57
O12 0.4336 0.0000 0.0391  1 P 1.53
O13 0.5328 0.1892 0.8475  1 P 1.57
O14 0.5328 0.8108 0.8475  1 P 1.57
O15 0.5671 0.5000 0.0579  1 P 1.54
O16 0.5713 0.3000 0.5277  1 P 1.56
O17 0.5713 0.7000 0.5277  1 P 1.56
O18 0.6557 0.0000 0.3414  3 Fe 1.93-2.04
O19 0.6945 0.5000 0.3016  1 P 1.59
O20 0.7576 0.0000 0.0224  1 P 1.54
O21 0.8070 0.5000 0.8439  1 P 1.55
O22 0.8687 0.0000 0.5677  1 P 1.56
O23 0.9019 0.5000 0.5288  3 Fe 1.91-2.01
O24 0.9927 0.1974 0.3448  1 P 1.53
O25 0.9927 0.8026 0.3448  1 P 1.53
O26 0.9967 0.0000 0.8087  1 P 1.51

No. 2
This record from the Materials Project describes crystalline NaCo2BiO6 at its relaxed geometry. The functional is PBE with a Hubbard U.

* ρ: 6.3 g/cm3
* E (MP2020): -6.21 eV/atom
* DFT total energy: -5.47 eV per atom
* E_form: -1.294 eV per atom
* M_tot: 6.00 Bohr magnetons per cell

a b c (Å): 5.6329 5.6329 5.6329
angles (deg): 56.82 56.82 56.82
Closest atoms and distances in Å follow each position.
Positions (direct):
Na1 0.0000 0.0000 0.0000  6 O 2.31-2.48
Co1 0.2282 0.2282 0.2282  3 O 1.89
Co2 0.7280 0.7280 0.7280  6 O 1.99-2.13
Bi1 0.5156 0.5156 0.5156  6 O 2.13-2.20
O1 0.0945 0.8444 0.4556  2 Co 1.99-2.14, 1 Bi 2.13
O2 0.3820 0.5471 0.9478  1 Co 1.89
O3 0.4556 0.0945 0.8444  2 Co 1.99-2.14, 1 Bi 2.13
........
## The calculated crystals stop here
In their public statement, Recess lambasted the traditional understanding of philanthropy, proposing that philanthropic gifts often place the donor center stage and frame the donor or institution as the hero. Recess refuses to make generosity, rather than justice and repair, the central feature of this story and asserts that this contribution is part of a debt owed to these communities. This debt comes from centuries of systemic inequities and oppressive systems that reinforce racism and cycles of disenfranchisement and poverty; Recess argues, this debt is long overdue and ever-growing. Through this process of wealth redistribution, the organization honors individuals who have thrived despite systemic oppression as heroes and seeks to begin remedying this debt owed.
While MacKenzie Scott acknowledges that she earned her fortune from extractive systems in need of change, these philanthropic gifts do not absolve her. They are rightful payments on the debts owed to the people impacted by the systemic oppression that makes her exorbitant wealth possible. As Recess developed their plans for the funds, they asked, “What happens if system-impacted individuals and artists control the power and resources rather than receive funds in exchange for programmatic output? What if we forefront the basic needs of our visionaries and organizers who, despite centuries of extraction, hold all the tools required to thrive?” By drawing on the networks of trust they’ve built for more than a decade, Recess can quickly channel this money into their communities, foregrounding the humanity of people directly impacted by systems of oppression with empathy, an accomplishment they rightfully assert most institutions lack the tools to achieve. People working to build power from within communities are the agents of change, a sentiment echoed by Scott in her blog post, their service supports and empowers people who go on to support and empower others.
Recess declares: “If resource mobilization is rooted in an economy of trust, care and accountability then money can be moved to those owed rather than absolving donors from the systems of white supremacy we perpetuate. This process, therefore, centers the wellbeing and empowerment of the recipient, not the pride and comfort of the benefactor.”
<<<
Record 1
CaSiO3: relaxed, PBE.

## Properties
For the total energy, the calculation gives -224.0 eV per cell. The space group is P-1. Its calculated density is 3.0 g cm⁻³. The volume comes out at 13.0 A^3/atom.

Lattice parameters (Å, degrees): 6.7405 6.7860 9.4121 69.27 83.66 75.81
Last column: nearest neighbours and their distance in Å.
Sites, in units of the cell vectors:
1 Ca 0.0778 0.4160 0.3371  6 O 2.35-2.48
2 Ca 0.2365 0.2568 0.9996  6 O 2.36-2.61
3 Ca 0.4115 0.7617 0.3492  5 O 2.30-2.51
4 Ca 0.5885 0.2383 0.6508  5 O 2.30-2.51
5 Ca 0.7635 0.7432 0.0004  6 O 2.36-2.61
6 Ca 0.9222 0.5840 0.6629  6 O 2.35-2.48
7 Si 0.0386 0.0240 0.7004  4 O 1.62-1.68
8 Si 0.2700 0.7721 0.9840  4 O 1.61-1.70
9 Si 0.3871 0.6651 0.7055  4 O 1.62-1.68
10 Si 0.6129 0.3349 0.2945  4 O 1.62-1.68
11 Si 0.7300 0.2279 0.0160  4 O 1.61-1.70
12 Si 0.9614 0.9760 0.2996  4 O 1.62-1.68
13 O 0.0470 0.7268 0.4017  1 Si 1.62
14 O 0.1289 0.5983 0.0612  1 Si 1.62
15 O 0.1342 0.0043 0.8635  2 Si 1.68-1.69
16 O 0.1441 0.1074 0.2627  1 Si 1.63
17 O 0.2379 0.9055 0.6139  2 Si 1.68
18 O 0.2640 0.4741 0.7423  1 Si 1.62
19 O 0.3879 0.8406 0.0927  1 Si 1.61
20 O 0.4187 0.3778 0.4062  1 Si 1.62
21 O 0.4502 0.6901 0.8638  2 Si 1.67-1.70
22 O 0.5498 0.3099 0.1362  2 Si 1.67-1.70
23 O 0.5813 0.6222 0.5938  1 Si 1.62
24 O 0.6121 0.1594 0.9073  1 Si 1.61
25 O 0.7360 0.5259 0.2577  1 Si 1.62
26 O 0.7621 0.0945 0.3861  2 Si 1.68
27 O 0.8559 0.8926 0.7373  1 Si 1.63
28 O 0.8658 0.9957 0.1365  2 Si 1.68-1.69
29 O 0.8711 0.4017 0.9388  1 Si 1.62
30 O 0.9530 0.2732 0.5983  1 Si 1.62

Record 2
TaSb3O8: relaxed, PBE.

## Properties
For the total energy, the calculation gives -171.2 eV per cell. The space group is Pc. Its calculated density is 6.8 g cm⁻³. The volume comes out at 13.8 A^3/atom.

Lattice parameters (Å, degrees): 4.9652 5.5804 12.9393 90.00 112.55 90.00
Last column: nearest neighbours and their distance in Å.
Sites, in units of the cell vectors:
1 Ta 0.0000 0.1172 0.0000  6 O 1.93-2.07
2 Ta 0.0000 0.8828 0.5000  6 O 1.93-2.07
3 Sb 0.2980 0.2657 0.7482  4 O 2.05-2.28
4 Sb 0.2980 0.7343 0.2482  4 O 2.05-2.28
5 Sb 0.4948 0.3829 0.4974  6 O 1.97-2.07
6 Sb 0.4948 0.6171 0.9974  6 O 1.97-2.07
7 Sb 0.7052 0.2292 0.2491  4 O 2.06-2.29
8 Sb 0.7052 0.7708 0.7491  4 O 2.06-2.29
9 O 0.1526 0.1686 0.4412  1 Sb 1.97, 1 Ta 2.03
10 O 0.1526 0.8314 0.9412  1 Sb 1.97, 1 Ta 2.03
11 O 0.2370 0.3297 0.9444  1 Ta 1.99, 1 Sb 2.00
12 O 0.2370 0.6703 0.4444  1 Ta 1.99, 1 Sb 2.00
13 O 0.3139 0.0714 0.1515  1 Ta 2.00, 1 Sb 2.06
14 O 0.3139 0.9286 0.6515  1 Ta 2.00, 1 Sb 2.06
15 O 0.4982 0.4287 0.6539  2 Sb 2.04-2.06
16 O 0.4982 0.5713 0.1539  2 Sb 2.04-2.06
17 O 0.5014 0.4054 0.3386  3 Sb 2.06-2.20
18 O 0.5014 0.5946 0.8386  3 Sb 2.06-2.20
19 O 0.6793 0.0934 0.8411  2 Sb 2.05-2.19, 1 Ta 2.07
20 O 0.6793 0.9066 0.3411  2 Sb 2.05-2.19, 1 Ta 2.07
21 O 0.7681 0.1124 0.5502  1 Sb 1.97, 1 Ta 1.99
22 O 0.7681 0.8876 0.0502  1 Sb 1.97, 1 Ta 1.99
23 O 0.8302 0.3882 0.0461  1 Ta 1.93, 1 Sb 2.00
>>>
Through this strategy for resource mobilization, Recess models what philanthropy could be—a process of wealth redistribution that empowers communities and individuals impacted by systemic, pays long-overdue debts, and refuses to ignore the exploitation required to make donor’s wealth possible.
=====
Density functional theory data (GGA+U) for a relaxed Er3Al3Cr2O12 crystal.

Structure (POSCAR):
```
Er3Al3Cr2O12
1.0
-6.1170 6.1170 6.1170
6.1170 -6.1170 6.1170
6.1170 6.1170 -6.1170
O Al Er Cr
48 12 12 8
Direct
0.4010 0.8164 0.5251
0.5251 0.4010 0.8164
0.0990 0.9749 0.6836
0.2087 0.5846 0.1836
0.7087 0.5251 0.6240
0.5251 0.6240 0.7087
0.2913 0.4749 0.3760
0.9749 0.6836 0.0990
0.0251 0.2087 0.1240
0.0251 0.3164 0.9010
0.4154 0.8164 0.7913
0.6836 0.0846 0.7087
0.6240 0.4154 0.0990
0.3760 0.2913 0.4749
0.6240 0.7087 0.5251
0.5990 0.9154 0.1240
0.9154 0.2913 0.3164
0.8164 0.5251 0.4010
0.8760 0.4010 0.0846
0.2913 0.3164 0.9154
0.4749 0.5990 0.1836
0.7913 0.4154 0.8164
0.8760 0.9749 0.7913
0.1836 0.4749 0.5990
0.9154 0.1240 0.5990
0.4749 0.3760 0.2913
0.5990 0.1836 0.4749
0.0990 0.6240 0.4154
0.1240 0.0251 0.2087
0.0846 0.7087 0.6836
0.1240 0.5990 0.9154
0.3164 0.9154 0.2913
0.3164 0.9010 0.0251
0.3760 0.5846 0.9010
0.6836 0.0990 0.9749
0.9749 0.7913 0.8760
0.7913 0.8760 0.9749
0.7087 0.6836 0.0846
0.2087 0.1240 0.0251
0.9010 0.3760 0.5846
0.1836 0.2087 0.5846
0.0846 0.8760 0.4010
0.4010 0.0846 0.8760
0.5846 0.1836 0.2087
0.9010 0.0251 0.3164
0.4154 0.0990 0.6240
0.5846 0.9010 0.3760
0.8164 0.7913 0.4154
0.1250 0.8750 0.2500
0.2500 0.1250 0.8750
0.8750 0.1250 0.7500
0.6250 0.3750 0.2500
0.6250 0.7500 0.3750
0.3750 0.6250 0.7500
0.7500 0.3750 0.6250
0.1250 0.7500 0.8750
0.3750 0.2500 0.6250
0.7500 0.8750 0.1250
0.2500 0.6250 0.3750
0.8750 0.2500 0.1250
0.3750 0.7500 0.1250
0.1250 0.3750 0.7500
0.8750 0.6250 0.2500
0.7500 0.6250 0.8750
0.7500 0.1250 0.3750
0.8750 0.7500 0.6250
0.1250 0.2500 0.3750
0.3750 0.1250 0.2500
0.6250 0.8750 0.7500
0.2500 0.3750 0.1250
0.2500 0.8750 0.6250
0.6250 0.2500 0.8750
0.0000 0.0000 0.5000
0.5000 0.5000 0.0000
0.5000 0.0000 0.0000
0.0000 0.5000 0.5000
0.5000 0.0000 0.5000
0.0000 0.5000 0.0000
0.5000 0.5000 0.5000
0.0000 0.0000 0.0000
```

Properties
* space-group type: No. 230
* energy: -8.018 eV/atom
* ΔE_f: -79.53 kcal/mol of atoms

=====

Density functional theory data (GGA+U) for a relaxed Li6V3P8O29 crystal.

Structure (POSCAR):
```
Li6V3P8O29
1.0
-5.0196 -2.7949 -7.9327
1.3219 -6.2990 7.4282
-11.7955 4.5388 5.9343
O P Li V
58 16 12 6
Direct
0.6654 0.3279 0.0205
0.2401 0.2436 0.4328
0.6609 0.3255 0.5227
0.6750 0.1869 0.6712
0.2255 0.0149 0.9339
0.9153 0.6594 0.8371
0.7465 0.0813 0.8398
0.4844 0.6689 0.3271
0.3812 0.9013 0.6796
0.0024 0.7571 0.4357
0.0775 0.3323 0.1549
0.7545 0.9976 0.4318
0.9009 0.5233 0.3245
0.3229 0.5103 0.8344
0.3723 0.4822 0.1701
0.5180 0.8942 0.1711
0.0120 0.7985 0.2566
0.1015 0.6279 0.1670
0.9999 0.2242 0.9314
0.6628 0.7460 0.1585
0.9998 0.2076 0.7493
0.2076 0.2127 0.2513
0.8136 0.4878 0.6679
0.5123 0.1859 0.1678
0.2074 0.0002 0.7508
0.7940 0.7987 0.9218
0.9162 0.2528 0.3428
0.7666 0.0010 0.0687
0.0835 0.7485 0.6590
0.4707 0.0900 0.8317
0.2356 0.2323 0.0694
0.8150 0.3299 0.1691
0.3323 0.6590 0.4770
0.3396 0.2576 0.8365
0.0938 0.4780 0.6782
0.7902 0.0000 0.2501
0.1841 0.5159 0.3253
=====
About Recess
Recess partners with artists to build a more just and equitable creative community. By welcoming radical thinkers to imagine and shape networks of resilience and safety, Recess defines and advances the possibilities of contemporary art.
Our programs offer space and resources to generate art, ideas and actions that challenge dominant narratives and activate new forms. Recess is always free and open to the public to serve as a meeting place for meaningful exchange across a multiplicity of communities.